## Activity
Restate the entries further below character by character.

## Excerpt
********
Density functional theory data (ωB97M-V with the def2-TZVPD basis set) for a cluster of 4 separate species, C6H21NO3S in total in a non-equilibrium geometry.

Each line ends with the natural charge from an NBO analysis.
Cartesian coordinates (Å):
C (2.2685, -2.5283, -0.2193)  -0.614
C (1.1790, -2.2381, 0.7981)  -0.418
C (-0.0859, -1.5892, 0.2370)  -0.206
N (0.0474, -0.1060, 0.0734)  -0.678
C (0.0023, 0.4132, -1.2994)  -0.077
C (1.3767, 0.7265, -1.8491)  -0.636
C (-0.8683, 1.6881, -1.2507)  -0.489
S (-1.4077, 2.1636, -2.9491)  -0.061
H (2.9202, -3.2712, 0.2191)  0.216
H (1.9087, -2.8623, -1.1831)  0.208
H (2.9083, -1.6730, -0.4478)  0.202
H (0.8400, -3.2039, 1.1925)  0.210
H (1.5122, -1.6657, 1.6668)  0.205
H (-0.9314, -1.7930, 0.8821)  0.192
H (-0.3479, -1.9676, -0.7492)  0.186
H (0.8715, 0.1537, 0.5997)  0.361
H (-0.5251, -0.2364, -1.9731)  0.205
H (2.0069, -0.1583, -1.9879)  0.218
H (1.3447, 1.1049, -2.8810)  0.229
H (1.8833, 1.5026, -1.2785)  0.204
H (-1.6327, 1.5298, -0.5088)  0.200
H (-0.3253, 2.5991, -0.9895)  0.216
H (-2.5213, 1.4174, -2.9729)  0.132
O (1.4055, 1.4169, 3.3887)  -0.967
H (1.9347, 1.3942, 2.5950)  0.471
H (0.4769, 1.1859, 3.3047)  0.496
O (-1.7622, 1.3692, 2.5639)  -0.956
H (-1.2741, 1.0463, 1.7825)  0.480
H (-2.0860, 2.2191, 2.2346)  0.471
O (-3.9238, 0.3312, 0.0305)  -0.935
H (-2.9674, 0.4287, 0.0674)  0.461
H (-4.2276, 0.6027, 0.9033)  0.475

Computed properties:
Energy above the lowest of the compared OMol25 structures with the same formula, charge and spin = 0.235 eV
LUMO = 0.459 eV
Energy = -25030.0277 eV
E_HOMO = -9.17 eV


Density functional theory data (ωB97M-V with the def2-TZVPD basis set) for a structure of composition C8H18I2NOP2RhS in a non-equilibrium geometry.

Each line ends with the natural charge from an NBO analysis.
Cartesian coordinates (Å):
I (-0.4630, 2.9121, 0.8806)  0.169
I (1.7344, 1.5942, -1.9672)  0.325
Rh (0.2824, 0.0162, -0.3600)  0.188
P (1.9008, 0.0620, 1.3295)  1.244
C (3.2481, -1.0301, 0.8830)  -0.991
C (2.6765, 1.6679, 1.7790)  -0.961
H (3.2711, 1.6969, 2.7115)  0.294
H (1.9562, -0.5084, 3.6044)  0.275
H (1.8771, 2.4681, 1.7665)  0.236
H (0.3479, 0.2014, 3.0351)  0.270
H (3.7607, -0.7872, -0.0615)  0.275
H (3.3439, 2.0001, 0.9917)  0.267
C (1.1634, -0.5116, 2.8465)  -0.972
H (3.9358, -0.9667, 1.7270)  0.280
H (0.7526, -1.5098, 2.6584)  0.275
H (2.8802, -2.0560, 0.8033)  0.272
P (-1.7615, 0.4001, -1.4690)  1.220
C (-1.8766, -0.6550, -2.9150)  -0.982
C (-3.0713, -0.1483, -0.3649)  -0.961
H (-1.9535, 2.7887, -1.1365)  0.234
H (-3.3149, 2.2107, -2.2029)  0.296
H (-1.6584, 2.4626, -2.8104)  0.277
C (-2.2415, 2.0788, -1.9684)  -0.967
H (-2.9357, 0.4920, 0.5240)  0.264
H (-4.0223, -0.0071, -0.9092)  0.272
H (-2.8644, -0.4700, -3.3532)  0.282
H (-1.8042, -1.7120, -2.6337)  0.273
H (-2.8789, -1.2036, -0.1092)  0.274
H (-1.0627, -0.4250, -3.6176)  0.265
C (0.8913, -1.5070, -1.3842)  0.509
O (1.3582, -2.3875, -1.9963)  -0.377
S (-1.6046, -3.7052, 1.6577)  0.238
C (-1.0627, -2.3126, 1.1438)  0.086
N (-0.8042, -1.1487, 0.9168)  -0.646

Computed properties:
Energy above the lowest of the compared OMol25 structures with the same formula, charge and spin = 0.745 eV
LUMO (spin up / spin down) = -8.040 / -11.299 eV
Multiplicity = 5
Energy = -60729.6954 eV
Expectation value of S² = 6.025
E_HOMO (spin up / spin down) = -14.95 / -14.73 eV
Charge = +2

=====

Entry 1:
# C16H58N4O13

A 13-piece molecular cluster, C16H58N4O13 overall (ωB97M-V/def2-TZVPD, the OMol25 dataset).

Summary:
LUMO = -0.1 eV
E_HOMO = -8.49 eV
Orbital gap = 8.435 eV
Net charge = 0
Energy = -1841.3043 a.u.
Relative energy (zero: lowest compared OMol25 entry of this formula, charge and spin) = 436.1 kJ/mol

Geometry as XYZ:
```
91
Properties=species:S:1:pos:R:3:forces:R:3:lowdin_charge:R:1
O -13.606 5.534 6.216 0.475 0.532 -0.108 -0.137
O -17.000 1.613 6.807 -1.331 0.338 0.399 -0.183
O -19.682 2.079 5.681 0.011 -0.793 0.347 -0.124
O -13.230 2.956 10.151 0.248 0.685 1.427 -0.163
********

## Here it is
Density functional theory data (ωB97M-V with the def2-TZVPD basis set) for a cluster of 4 separate species, C6H21NO3S in total in a non-equilibrium geometry.

Each line ends with the natural charge from an NBO analysis.
Cartesian coordinates (Å):
C (2.2685, -2.5283, -0.2193)  -0.614
C (1.1790, -2.2381, 0.7981)  -0.418
C (-0.0859, -1.5892, 0.2370)  -0.206
N (0.0474, -0.1060, 0.0734)  -0.678
C (0.0023, 0.4132, -1.2994)  -0.077
C (1.3767, 0.7265, -1.8491)  -0.636
C (-0.8683, 1.6881, -1.2507)  -0.489
S (-1.4077, 2.1636, -2.9491)  -0.061
H (2.9202, -3.2712, 0.2191)  0.216
H (1.9087, -2.8623, -1.1831)  0.208
H (2.9083, -1.6730, -0.4478)  0.202
H (0.8400, -3.2039, 1.1925)  0.210
H (1.5122, -1.6657, 1.6668)  0.205
H (-0.9314, -1.7930, 0.8821)  0.192
H (-0.3479, -1.9676, -0.7492)  0.186
H (0.8715, 0.1537, 0.5997)  0.361
H (-0.5251, -0.2364, -1.9731)  0.205
H (2.0069, -0.1583, -1.9879)  0.218
H (1.3447, 1.1049, -2.8810)  0.229
H (1.8833, 1.5026, -1.2785)  0.204
H (-1.6327, 1.5298, -0.5088)  0.200
H (-0.3253, 2.5991, -0.9895)  0.216
H (-2.5213, 1.4174, -2.9729)  0.132
O (1.4055, 1.4169, 3.3887)  -0.967
H (1.9347, 1.3942, 2.5950)  0.471
H (0.4769, 1.1859, 3.3047)  0.496
O (-1.7622, 1.3692, 2.5639)  -0.956
H (-1.2741, 1.0463, 1.7825)  0.480
H (-2.0860, 2.2191, 2.2346)  0.471
O (-3.9238, 0.3312, 0.0305)  -0.935
H (-2.9674, 0.4287, 0.0674)  0.461
H (-4.2276, 0.6027, 0.9033)  0.475

Computed properties:
Energy above the lowest of the compared OMol25 structures with the same formula, charge and spin = 0.235 eV
LUMO = 0.459 eV
Energy = -25030.0277 eV
E_HOMO = -9.17 eV


Density functional theory data (ωB97M-V with the def2-TZVPD basis set) for a structure of composition C8H18I2NOP2RhS in a non-equilibrium geometry.

Each line ends with the natural charge from an NBO analysis.
Cartesian coordinates (Å):
I (-0.4630, 2.9121, 0.8806)  0.169
I (1.7344, 1.5942, -1.9672)  0.325
Rh (0.2824, 0.0162, -0.3600)  0.188
P (1.9008, 0.0620, 1.3295)  1.244
C (3.2481, -1.0301, 0.8830)  -0.991
C (2.6765, 1.6679, 1.7790)  -0.961
H (3.2711, 1.6969, 2.7115)  0.294
H (1.9562, -0.5084, 3.6044)  0.275
H (1.8771, 2.4681, 1.7665)  0.236
H (0.3479, 0.2014, 3.0351)  0.270
H (3.7607, -0.7872, -0.0615)  0.275
H (3.3439, 2.0001, 0.9917)  0.267
C (1.1634, -0.5116, 2.8465)  -0.972
H (3.9358, -0.9667, 1.7270)  0.280
H (0.7526, -1.5098, 2.6584)  0.275
H (2.8802, -2.0560, 0.8033)  0.272
P (-1.7615, 0.4001, -1.4690)  1.220
C (-1.8766, -0.6550, -2.9150)  -0.982
C (-3.0713, -0.1483, -0.3649)  -0.961
H (-1.9535, 2.7887, -1.1365)  0.234
H (-3.3149, 2.2107, -2.2029)  0.296
H (-1.6584, 2.4626, -2.8104)  0.277
C (-2.2415, 2.0788, -1.9684)  -0.967
H (-2.9357, 0.4920, 0.5240)  0.264
H (-4.0223, -0.0071, -0.9092)  0.272
H (-2.8644, -0.4700, -3.3532)  0.282
H (-1.8042, -1.7120, -2.6337)  0.273
H (-2.8789, -1.2036, -0.1092)  0.274
H (-1.0627, -0.4250, -3.6176)  0.265
C (0.8913, -1.5070, -1.3842)  0.509
O (1.3582, -2.3875, -1.9963)  -0.377
S (-1.6046, -3.7052, 1.6577)  0.238
C (-1.0627, -2.3126, 1.1438)  0.086
N (-0.8042, -1.1487, 0.9168)  -0.646

Computed properties:
Energy above the lowest of the compared OMol25 structures with the same formula, charge and spin = 0.745 eV
LUMO (spin up / spin down) = -8.040 / -11.299 eV
Multiplicity = 5
Energy = -60729.6954 eV
Expectation value of S² = 6.025
E_HOMO (spin up / spin down) = -14.95 / -14.73 eV
Charge = +2

=====

Entry 1:
# C16H58N4O13

A 13-piece molecular cluster, C16H58N4O13 overall (ωB97M-V/def2-TZVPD, the OMol25 dataset).

Summary:
LUMO = -0.1 eV
E_HOMO = -8.49 eV
Orbital gap = 8.435 eV
Net charge = 0
Energy = -1841.3043 a.u.
Relative energy (zero: lowest compared OMol25 entry of this formula, charge and spin) = 436.1 kJ/mol

Geometry as XYZ:
```
91
Properties=species:S:1:pos:R:3:forces:R:3:lowdin_charge:R:1
O -13.606 5.534 6.216 0.475 0.532 -0.108 -0.137
O -17.000 1.613 6.807 -1.331 0.338 0.399 -0.183
O -19.682 2.079 5.681 0.011 -0.793 0.347 -0.124
O -13.230 2.956 10.151 0.248 0.685 1.427 -0.163